_Source_
No. 1
Density functional theory data (ωB97M-V with the def2-TZVPD basis set) for a molecular structure, C21H26BBr4F6I3NO3P.

Positions of all 66 atoms, in Å:
1 I -5.38 -3.33 -0.13
2 P 5.75 0.43 1.85
3 F 4.79 0.78 3.15
4 C 2.85 -1.62 -0.80
5 Br -2.36 2.11 -2.83
6 H 4.78 1.30 -1.23
7 F 4.55 -0.72 1.56
8 C 0.32 0.44 -0.38
9 H -1.90 1.88 1.29
10 O 1.89 1.72 -1.96
11 H -1.69 -4.29 -1.14
12 H -5.99 2.39 -0.42
13 H -3.98 -0.70 0.18
14 H 2.70 0.01 0.63
15 C 0.72 -0.73 0.24
16 I 1.48 -2.18 -2.48
17 H -0.26 2.09 -1.95
18 C 0.17 -2.96 2.65
19 I -3.68 -1.67 2.68
20 C -4.16 1.36 -0.17
21 H 1.25 -3.21 0.85
22 H 2.25 2.99 0.36
23 C 4.30 1.35 -2.20
24 H -1.93 -3.07 1.64
25 H 3.91 0.38 -2.49
26 H -3.18 -4.01 -2.01
27 C 0.25 -2.97 1.20
28 C -2.51 -3.58 -1.27
29 H -0.37 -3.78 0.82
30 C -3.47 0.00 -0.47
31 H 3.33 3.20 -1.58
32 Br -4.53 1.55 1.74
33 C -1.05 3.16 -0.31
34 F 6.91 0.64 3.00
35 H -3.15 -4.39 0.56
36 Br -3.97 -0.76 -2.21
37 H 3.06 2.75 -3.25
38 C -1.13 1.98 -1.34
39 B 1.50 1.50 -0.70
40 C -1.99 -0.22 -0.23
41 H 2.44 -1.56 1.25
42 H 5.04 1.61 -2.95
43 H -3.56 2.22 -0.42
44 H -6.15 0.68 -0.71
45 F 4.63 1.40 1.04
46 C -1.35 2.80 1.15
47 C 2.20 -0.93 0.40
48 C -1.60 -1.37 0.44
49 C -2.53 -2.43 1.02
50 F 6.75 1.31 0.89
51 C 3.17 2.36 -2.25
52 O 3.96 -1.94 -0.93
53 H -0.09 -2.96 4.90
54 C -3.22 -3.43 0.07
55 H -0.41 2.70 1.69
56 H -2.11 -2.66 -1.67
57 N -1.00 0.66 -0.65
58 H -1.90 3.60 1.63
59 H -5.37 1.76 -1.92
60 Br -2.03 4.74 -0.85
61 C 0.07 -2.96 3.85
62 H -0.03 3.49 -0.35
63 O 2.05 2.06 0.43
64 F 6.66 -0.85 1.38
65 C -5.50 1.53 -0.87
66 C -0.23 -1.65 0.63

The calculation puts the LUMO energy at -0.078 Eh. The calculation puts the HOMO energy at -9.7 eV. As for the total energy: -360575.313 eV. For the orbital gap, the calculation gives 7.586 eV.

No. 2
Density functional theory data (ωB97M-V with the def2-TZVPD basis set) for a molecular structure, C21H26ClInN3O6.

Positions of all 58 atoms, in Å:
1 C -4.86 -4.64 -0.66
2 O 1.45 -1.58 1.48
3 H -3.85 -6.52 -0.66
4 H -2.07 -3.52 -0.43
5 C -3.44 1.44 -4.44
6 H 2.35 5.08 0.33
7 H -4.52 1.87 -6.23
8 N -3.69 -1.62 -2.40
9 O -1.78 2.11 -2.40
10 C -4.87 -0.93 -4.37
11 H -3.55 -5.55 0.77
12 H 1.78 2.79 1.96
13 C -5.07 -0.03 -5.39
14 O 1.97 0.39 0.39
15 C -2.53 -3.94 -1.33
16 H -1.78 4.97 0.02
17 H 2.44 2.78 -0.29
18 H -2.09 -3.47 -2.20
19 C -6.77 -3.28 -1.29
20 H -5.09 -6.38 0.57
21 O -0.09 0.14 1.38
22 H -0.72 4.82 -1.39
23 C -4.56 -2.58 -1.89
24 C 0.75 3.01 1.71
25 H 1.53 5.33 -1.23
26 O -1.84 0.09 -1.49
27 C -4.36 1.17 -5.42
28 C -3.21 0.53 -3.40
29 H 1.15 5.11 2.30
30 H -0.57 4.70 2.27
31 N 0.47 2.69 0.33
32 H -1.27 2.30 -1.56
33 C 1.49 3.23 -0.53
34 C -3.93 -0.69 -3.36
35 O 1.81 0.40 2.70
36 H -1.54 2.70 0.70
37 H -2.29 -5.00 -1.37
38 C 0.38 4.56 1.76
39 H -5.79 -0.25 -6.16
40 C -4.31 -5.84 0.04
41 C -0.84 4.55 -0.34
42 C -0.78 3.09 0.02
43 C -5.94 -2.36 -1.88
44 N 0.28 5.09 0.42
45 In 0.31 -1.22 -0.82
46 H -6.33 -1.45 -2.29
47 H 0.10 2.45 2.39
48 H 1.24 3.02 -1.57
49 H -5.40 -1.87 -4.38
50 H -6.90 -5.11 -0.19
51 C 1.50 4.79 -0.28
52 Cl 1.30 -0.17 1.53
53 C -4.01 -3.73 -1.29
54 C -6.24 -4.41 -0.67
55 H -7.83 -3.11 -1.27
56 H -2.86 -1.44 -1.83
57 H -2.87 2.36 -4.45
58 C -2.25 0.87 -2.37

The calculation puts the LUMO energy at -0.212 Eh. As for the net charge: +1. The calculation puts the HOMO energy at -9.9 eV. As for the total energy: -56635.327 eV. For the orbital gap, the calculation gives 4.159 eV.

No. 3
Density functional theory data (ωB97M-V with the def2-TZVPD basis set) for a single C21H26ClN3O5S molecule.

Positions of all 57 atoms, in Å:
1 H 2.94 -2.05 2.14
2 H 1.80 0.79 5.11
3 H -1.10 1.61 2.63
4 H -0.36 -1.22 5.94
5 H -1.87 3.31 -3.16
6 H -2.54 -1.63 1.53
7 C -2.46 0.34 -0.32
8 H -0.14 2.93 -3.34
9 C -1.51 -1.39 1.22
10 C -2.38 1.21 0.94
11 C 0.26 -0.34 6.14
12 H -0.05 0.08 -5.83
13 H -1.79 -1.64 -0.90
14 O 0.40 0.26 3.78
15 N 1.32 0.50 -2.82
16 H 0.87 -0.53 7.02
17 C 2.14 -0.30 -0.65
18 C -0.13 -0.79 3.10
19 H 3.65 2.07 1.25
20 C 2.64 0.95 -0.27
21 C 1.16 -0.07 4.94

_Wanted_
Now start at the top of the lines further up and give back each line, ending with the one that has "-1.60 -1.37".

_Outcome_
No. 1
Density functional theory data (ωB97M-V with the def2-TZVPD basis set) for a molecular structure, C21H26BBr4F6I3NO3P.

Positions of all 66 atoms, in Å:
1 I -5.38 -3.33 -0.13
2 P 5.75 0.43 1.85
3 F 4.79 0.78 3.15
4 C 2.85 -1.62 -0.80
5 Br -2.36 2.11 -2.83
6 H 4.78 1.30 -1.23
7 F 4.55 -0.72 1.56
8 C 0.32 0.44 -0.38
9 H -1.90 1.88 1.29
10 O 1.89 1.72 -1.96
11 H -1.69 -4.29 -1.14
12 H -5.99 2.39 -0.42
13 H -3.98 -0.70 0.18
14 H 2.70 0.01 0.63
15 C 0.72 -0.73 0.24
16 I 1.48 -2.18 -2.48
17 H -0.26 2.09 -1.95
18 C 0.17 -2.96 2.65
19 I -3.68 -1.67 2.68
20 C -4.16 1.36 -0.17
21 H 1.25 -3.21 0.85
22 H 2.25 2.99 0.36
23 C 4.30 1.35 -2.20
24 H -1.93 -3.07 1.64
25 H 3.91 0.38 -2.49
26 H -3.18 -4.01 -2.01
27 C 0.25 -2.97 1.20
28 C -2.51 -3.58 -1.27
29 H -0.37 -3.78 0.82
30 C -3.47 0.00 -0.47
31 H 3.33 3.20 -1.58
32 Br -4.53 1.55 1.74
33 C -1.05 3.16 -0.31
34 F 6.91 0.64 3.00
35 H -3.15 -4.39 0.56
36 Br -3.97 -0.76 -2.21
37 H 3.06 2.75 -3.25
38 C -1.13 1.98 -1.34
39 B 1.50 1.50 -0.70
40 C -1.99 -0.22 -0.23
41 H 2.44 -1.56 1.25
42 H 5.04 1.61 -2.95
43 H -3.56 2.22 -0.42
44 H -6.15 0.68 -0.71
45 F 4.63 1.40 1.04
46 C -1.35 2.80 1.15
47 C 2.20 -0.93 0.40
48 C -1.60 -1.37 0.44